Exercise:
Could you say how many lines of the lines further down hold the word "intensity", as a bare number?

Source:
'''
Diffraction record for Na3NdHg4. The X-ray diffraction stick pattern is theoretical, not measured: it uses a crystal structure in Alexandria, relaxed with PBE and λ = 1.5418 Å (Cu Kα).
Intensities are scaled so that the largest is 100.

Peak list (10 most intense, 2θ = 15–90°, most intense first)
d (Å), I/Imax
2.650, 100.0
3.748, 39.0
1.530, 37.3
1.874, 18.1
1.676, 17.0
1.185, 16.2
2.164, 12.4
1.325, 11.5
1.250, 6.8
1.130, 3.9

```
Na3NdHg4
1.0
2.6516 1.5309 8.6475
-2.6516 1.5309 8.6475
0.0000 -3.0618 8.6475
Na Nd Hg
3 1 4
direct
0.0000 0.0000 0.0000 Na
0.2530 0.2530 0.2530 Na
0.7470 0.7470 0.7470 Na
0.5000 0.5000 0.5000 Nd
0.1274 0.1274 0.1274 Hg
0.3780 0.3780 0.3780 Hg
0.6220 0.6220 0.6220 Hg
0.8726 0.8726 0.8726 Hg
```

----------

For La2ZrS5, a cell relaxed with GGA-PBE gives the computed powder XRD pattern in this record (Cu Kα X-rays).

Main lines, low angle first (10 to 90 degrees two-theta):
- 2θ = 23.93°, 3.719 Å, intensity 36, hkl 0 0 2
- 2θ = 25.87°, 3.445 Å, intensity 63, hkl 1 2 1
- 2θ = 26.08°, 3.416 Å, intensity 92, hkl 3 0 1
- 2θ = 26.55°, 3.357 Å, intensity 39, hkl 2 2 0
- 2θ = 33.34°, 2.688 Å, intensity 100, hkl 1 2 2
- 2θ = 34.07°, 2.632 Å, intensity 68, hkl 3 2 1
- 2θ = 36.04°, 2.492 Å, intensity 54, hkl 2 2 2
- 2θ = 43.87°, 2.064 Å, intensity 37, hkl 0 4 0

Crystal structure
```
La2ZrS5
1.0
11.538 0.000 0.000
0.000 8.255 0.000
0.000 0.000 7.438
La Zr S
8 4 20
Direct
0.171 0.001 0.059
0.171 0.499 0.059
0.329 0.501 0.559
0.329 0.999 0.559
0.671 0.001 0.441
0.671 0.499 0.441
0.829 0.501 0.941
0.829 0.999 0.941
0.010 0.250 0.574
0.490 0.750 0.074
0.510 0.250 0.926
0.990 0.750 0.426
0.004 0.250 0.942
0.073 0.534 0.678
0.073 0.966 0.678
0.193 0.250 0.360
0.208 0.750 0.340
0.292 0.250 0.840
0.307 0.750 0.860
0.427 0.034 0.178
0.427 0.466 0.178
0.496 0.750 0.442
0.504 0.250 0.558
0.573 0.534 0.822
0.573 0.966 0.822
0.693 0.250 0.140
0.708 0.750 0.160
0.792 0.250 0.660
0.807 0.750 0.640
0.927 0.034 0.322
0.927 0.466 0.322
0.996 0.750 0.058
```

----------

Diffraction record for Hg2AsP. The PXRD pattern is theoretical, not measured: it uses the PBE geometry in Alexandria and copper Kα.
Intensities are scaled so that the largest is 100.

Main lines, by angle (10° ≤ 2θ ≤ 90°):
- 11.67°, rel. 44
- 26.56°, rel. 42
- 28.53°, rel. 34
- 31.20°, rel. 100
- 32.05°, rel. 51
- 34.17°, rel. 29
- 45.10°, rel. 37
- 45.57°, rel. 34

Cell and atoms:
a = 7.733 Å, b = 3.422 Å, c = 7.596 Å
α = 90.00°, β = 93.56°, γ = 90.00°
Sites, in units of the cell vectors:
1 Hg 0.000 0.000 0.000
2 Hg 0.232 0.000 0.716
3 Hg 0.500 0.500 0.000
4 Hg 0.732 0.500 0.716
5 As 0.292 0.500 0.289
6 As 0.792 0.000 0.289
7 P 0.438 0.000 0.445
8 P 0.938 0.500 0.445



Diffraction record for HgBiSbPb4. The PXRD pattern is theoretical, not measured: it uses the PBE geometry in Alexandria and copper Kα.
Intensities are scaled so that the largest is 100.

Main lines, by angle (10° ≤ 2θ ≤ 90°):
- 28.04°, rel. 80
- 28.76°, rel. 75
- 29.43°, rel. 100
- 30.29°, rel. 59
- 32.57°, rel. 66
- 33.14°, rel. 44
- 33.43°, rel. 67
- 37.06°, rel. 74

Cell and atoms:
a = 7.716 Å, b = 6.738 Å, c = 9.552 Å
α = 90.00°, β = 112.10°, γ = 90.00°
Sites, in units of the cell vectors:
1 Hg 0.029 0.250 0.119
2 Hg 0.971 0.750 0.881
3 Bi 0.396 0.250 0.077
4 Bi 0.604 0.750 0.923
5 Sb 0.215 0.750 0.433
6 Sb 0.785 0.250 0.567
7 Pb 0.215 0.003 0.729
8 Pb 0.215 0.497 0.729
9 Pb 0.344 0.250 0.456
10 Pb 0.349 0.750 0.153
11 Pb 0.651 0.250 0.847
12 Pb 0.656 0.750 0.544
13 Pb 0.785 0.503 0.271
14 Pb 0.785 0.997 0.271



Diffraction record for K2U3ZnO12. The PXRD pattern is theoretical, not measured: it uses the PBE geometry in Alexandria and copper Kα.
Intensities are scaled so that the largest is 100.

Main lines, by angle (10° ≤ 2θ ≤ 90°):
- 13.71°, rel. 89
- 14.91°, rel. 86
- 26.19°, rel. 93
- 26.86°, rel. 60
- 27.62°, rel. 100
- 32.74°, rel. 36
- 45.32°, rel. 40
- 55.36°, rel. 36

Cell and atoms:
a = 7.526 Å, b = 7.526 Å, c = 7.526 Å
α = 64.25°, β = 64.25°, γ = 64.25°
'''

Outcome:
8